Full Shear Pumps

Mixing and pumping in single unit is certainly an advantage for variety of applications that require both pumping and mixing inline or in a single pump. Zeutech Shear Pump certainly is an advantage for many such industries and applications which require cost effective and performance based solutions for their pumping and mixing needs. Our Shear Pumps are innovative, efficient, advanced and sophisticated centrifugal type pumps which are designed ideally for sanitary applications be it in dairies, food processing, pharmaceuticals, beverages, breweries etc. The very basic difference between a normal centrifugal pump and shear pump is the design and construction of impeller. The Shear Pump uses an intermeshed rotor and stator system of impeller to disperse particles into liquid. Zeutech offers a modern range of shear pumps which are systematically aimed at the mixing and pumping tasks of users. More than 25 years of extensive experience coupled with advanced cutting-edge technology and precise engineering calculations has made us the leading shear pump manufacturer and exporter.

Application: Dairies, beverages, food processing, breweries, fruit-based drinks, chemicals, pharmaceuticals, paints, dyes, pigments, biotechnology, cosmetics and personal care, chemicals, paper and cellulose, effluent treatment, water treatment plants and many other industries where mixing applications are in place.

Every aspect of our shear pumps like selection of use of suitable material for construction, design of impeller, rightly rated motors, etc. are taken in greatest care to provide the users optimum benefits like higher performance, lower power consumption, reduction of operation time, product safety, low operational running cost, minimum human intervention, error free operation, environmental savings etc.

Zeutech shear pumps operate successfully worldwide due to its extensive and sophisticated technology for all hygienic, sanitary and non-sanitary industrial pumping applications. What stand out in case of Zeutech Shear Pumps are: high levels of safety and hygiene for hygienic application, superior performance, reliable and efficient product handling, durable and sturdy construction, flawless design, unmatched after-sales service etc., all these in a very affordable pricing.

Self-priming Zeutech Pumps operate on the side channel principle. Impellers with radial blades in conjunction with hydro dynamically optimized side channels transfer the energy to the product through very narrow gaps between casing and impeller lead to produce excellent suction capability.

Combined mixing with pumping

Inline mixing is certainly the biggest advantage that our shear pumps offer to the users. Shear pumps combine product transfer with uniform mixing or dispersing the product during the transfer helps in reducing process time and effort while improving the product quality.


Optimum performance

Zeutech shear pumps are renowned for their high efficiency, low energy consumption, 100% hygienic, extensive customization levels, and a wide range of duty parameters for handling various liquids of different viscosity ranges. Zeutech Shear Pumps for blends product quickly and consistently compared to conventional method thus helps in shortening processing duration significantly

The shear pump’s rotor-stator design eliminates unblended products and prevent lumps and masses in product for consistent, repeatable results.

Our perfected shear pump offers the following broad advantages

  • • Improves product texture
  • • Reduces processing time
  • • Economical to operate and maintain
  • • Low maintenance design for continuous duty
  • • CIP / SIP compatible
Rotor-stator impeller

The Shear Pump uses an intermeshed rotor / stator system to disperse particles into liquid or emulsifying the liquid. The rotating teeth pass within 0.5 mm of the stationary teeth at high speeds, causing a tremendous amount of turbulence. As centrifugal force pushes the product towards the outlet, the intensity of this turbulence ensures that all product must be thoroughly blended to exit the Shear Pump.

Seven missions – one machine

The Zeutech shear pumps deliver paramount performance and provide maximum benefit to the use by doing seven tasks effortlessly, these seven tasks are

  • 1. Mixing – ensures product mixing or dissolution of soluble solids in solvent, becomes the predominant constituent in sugar dissolving system or powder blender where inline mixing and solution is the key factor.
  • 2. Blending - provides continuous, inline blending without air incorporation or formation lumps of dry product resulting in very uniform blending.
  • 3. Texturing - gives a smooth body and texture to many products like buttermilk, yoghurt, Laban, tomato sauce/puree or other food pastes etc. Use of various impeller rotor/stator combinations and/or adjustment of rotor speed provide precise control of texturizing effect.
  • 4. Reconstitution - assists reconstitution of powdered products, such as milk powders or SMP. Recirculation with Shear Pump provides faster and more complete solution.
  • 5. Homogenizing – creates homogenization effect to a greater degree in the liquid stream by continuous rotation of impeller which has the teeth of very low clearances.
  • 6. Emulsifying - makes stable emulsions of products with both oil and water base ingredients with the help of high shearing effect of its rotor and stator designed impeller. The requirements for stabilizer and/or emulsifier additives may be reduced due to the tremendous turbulence effect flowing through very narrow clearances.
  • 7. Dispersion - helps in creating stable solids in liquid suspensions by uniform dispersion of the solid particles in the liquid stream. Reduction of Particle size too is possible.
Sophisticated flawless design

Zeutech shear pumps are superiorly designed for optimum combined mixing and product transfer with maximum hygiene and minimum energy consumption. Unified and homogenous seal housing design embrace for a single mechanical seal for a wide range of pumps. The Zeutech design principle guarantees high level of efficiency, minimal secondary flow and a flow optimized pumping channel handle the fluid gently and minimize warming. Zeutech shear pumps are solely equipped with distinctive designed open impeller which are unsurpassed in hygienic applications. Customized steel alloys and solid components with minimum wall thicknesses of 6 to 8 mm provide the ideal basis for hassle-free operation.

Sturdy construction

Zeutech Pumps are of distinguished for their sturdy construction. The pumps are of highest quality construction manufactured from stainless steel of various grades. Housing, front cover and impeller are made by precision casting, produced by the 'Lost-Wax’ method or from solid forgings. Both methods of construction offer a guarantee of precision and non-porous surfaces. Every pump has a minimum wall thickness of 8 to 10 mm, providing a working life-cover of over 25 years. Hundreds of thousands of units have proved themselves on numerous installations.

Hygiene uncompromised

The product contact parts of entire construction are sanitary and 100% hygienic. Made of high grade stainless steel (SS 304, SS 316, SS 304L, SS 316L grades and other food grade materials and components, our entire pump is contamination free and devoid of any pathological threat. Due to its open-impeller design the Zeutech shear pump is easy to clean and fully compatible and works in-sync with cleaning-in-place (CIP).

Mechanical shaft seals: the perfect sealing arrangement

Zeutech shear pumps are equipped with mechanical seals, which we consider as the perfect sealing arrangement for such pumps for varied reasons. Our mechanical seals are designed and manufactured in-house with latest cutting edge technology and advanced facilities for maximum performance with prolonged life. Depending upon the characteristics of the pumping liquid, we make mechanical seals with suitable material of construction for optimum use. Use of premium materials like tungsten carbide, carbon, silicon, Vinton, EPDM etc. makes our mechanical seals perfectly fit to resist in leak which keeping the performance and hygiene intact.

One seal – many pumps

What we mean by saying ‘one seal-many pumps’ is that we have standardized the design of our pumps and mechanical seals in such a way that a certain sized mechanical seal can be used for a wide range of Zeutech shear pumps. It greatly reduces the time, effort and confusion in managing inventory and handling the maintenance.

Easy maintenance and clean ability

Our entire design and construction is aimed for high performance, superior hygiene and easy in cleaning and maintenance. Our high-quality design enables quick and easy replacement of mechanical seals, gaskets, O-rings, shafts or impellers, providing more uptime with lower maintenance costs. The dismantling of the parts and reassembling of the pump spares are extremely easy and unambiguous.

Energy efficient, economical and less operation cost

Zeutech centrifugal shear pumps are economical to own and the operation cost is also very less. The energy efficient motor drastically reduces the power consumption. The main drivers of the pumps are energy efficient induction electric motors of IE2 or IE3 standard which are renowned for their ability to consume less energy. We incorporate the best and renowned branded electrical motors available in the spectrum. Perfectly engineered pumps with unique impeller design are suited to assist in consuming less energy while keeping its higher performance intact.

Low vibration and noise level

Inserted here: data records =
********
Entry 1:
Below is an optimized crystal structure of TiAsH2I, with properties calculated at the PBE-GGA level.

The total magnetization is 1.11 Bohr magnetons per cell. The calculation puts the uncorrected energy at -3.74 eV per atom. The symmetry is P4/mmm. The value obtained for the volume is 123 Å³/cell.

a = 3.7481 Å, b = 8.7659 Å, c = 3.7481 Å
α = 90.00°, β = 90.00°, γ = 90.00°
Atoms (fractional coordinates):
Ti 0.5000 0.5000 0.5000
H 0.0000 0.0000 0.5000
H 0.5000 0.0000 0.0000
As 0.0000 0.5000 0.0000
I 0.0000 0.0000 0.0000

Entry 2:
Below is an optimized crystal structure of TbBePd3, with properties calculated at the PBE-GGA level.

The distance to the lowest polymorph of the same formula is 0.76 kcal/mol of atoms. The total magnetization is 0.00 Bohr magnetons per cell. Its formation energy is -3.4 eV/f.u. The symmetry is Pm-3m. The value obtained for the volume is 84 Å³/cell.

a = 4.3717 Å, b = 4.3717 Å, c = 4.3717 Å
α = 90.00°, β = 90.00°, γ = 90.00°
Atoms (fractional coordinates):
Be 0.0000 0.0000 0.0000
Pd 0.5000 0.0000 0.0000
Pd 0.0000 0.0000 0.5000
Pd 0.0000 0.5000 0.0000
Tb 0.5000 0.5000 0.5000

Number 1: density of states at the Fermi level 3.02 states/eV/f.u.. Number 2: density of states at the Fermi level 3.31 states/eV/f.u..

=====

First-principles (GGA-PBE) data for an optimized crystal structure of Sr2CdP3Pd12, as listed in Alexandria via LeMat-Bulk.

The structure belongs to space group R-3m (No. 166, hexagonal axes); the cell edges are 8.7695, 8.7695 and 15.9385 Å and the angles 90.00°, 90.00° and 120.00°. Symmetry generates all atoms from Sr at (0.0000, 0.0000, 0.1043), Cd at (0.0000, 0.0000, 0.5000), P at (0.0000, 0.5000, 0.0000), Pd at (0.0124, 0.5062, 0.8605) and Pd at (0.0624, 0.5312, 0.3344).

As for the crystal system: trigonal. The value obtained for the density of states at the Fermi level is 15.74 states/eV/cell. Its size of the total moment is 0.0 μB/f.u. The formation enthalpy at 0 K comes out at -335 meV per atom.

=====

TmAlHg2 PBE optimized geometry; crystal system = tetragonal; ρ = 11.25 Mg/m³; energy of formation from the pure elements = -0.262 eV/atom; symmetry = P4/mmm
1.0
4.468 0.000 0.000
0.000 4.468 0.000
0.000 0.000 4.414
Tm Al Hg
1 1 2
Direct
0.000 0.000 0.000
0.500 0.500 0.000
0.000 0.500 0.500
0.500 0.000 0.500

=====

The following is a DFT calculation (PBE-GGA) of a relaxed structure of Y2ErMn.

Computed properties:
SG: P4/mmm, No. 123
Theoretical density in g/cm3: 6.1
E_form in eV/atom: 0.14
Total energy in eV/atom: -6.5274

The structure in POSCAR format:
```
Y2ErMn
1.0
-1.6204 -0.1668 -3.1504
-1.5909 -3.0151 0.9779
-6.6337 4.5290 3.1722
Y Mn Er
2 1 1
Direct
0.0000 0.0000 0.2040
0.0000 0.0000 0.7960
0.5000 0.5000 0.0000
0.5000 0.5000 0.5000
```


The following is a DFT calculation (PBE-GGA) of a relaxed structure of YErMn2.

Computed properties:
Energy above the most stable polymorph in this dataset in eV/f.u.: 0.00
SG: P4/mmm, No. 123
Theoretical density in g/cm3: 7.0
E_form in eV/atom: 0.20
********

The extremely low-vibration running of the Zeutech pumps supports the high reliability and long life of the pumps and the mechanical seals.

Working with low NPSHr is a boon

Our Zeutech shear pumps designed to work with low NPSHr (Net Positive Suction Head required) level are just a boon in pumping application.

Mounting as per your need

As per the users’ need, we have our pumps with various options of mounting like ball feet, base frame, bearing bracket etc.

Customization to suit the need best

Our custom built pumps are available in a wide capacity ranges for a single pump model to ensure the best fit to the customers’ need and processing requirements. Based on the product and its characteristics and the desired product mixture, we can deliver suitable pump with various construction material options. Pumps with different mounting options, with or without shroud etc. are some of the striking customization features we offer.

Available explosion-proof application

Apart from sanitary applications, we also manufacture the shear pumps for explosion proof application. To achieve this, our pumps are equipped with high quality flame proof electrical motors that are standardized with the competent authorities as per the local governing law.

One pump, varied application
  • Milk reconstitution
  • Milk stabilization
  • Chocolate milk
  • Cottage cheese dressing
  • Ice cream Mix
  • Yogurt
  • Sour cream
  • Eggnog
  • Pudding
  • Tablet coatings
  • Cough syrup
  • Topical ointments
  • Lotions
  • Vitamin drinks
  • Biodiesel
  • Paintballs
  • Fertilizer
  • Beverage
  • Orange juice
  • Mineral water
  • Green tea
  • Vegetable juice
  • Olive oil and water emulsion
  • Salsa and hot sauce
  • Ketchup and mustard
  • Vegetable oil refining
  • Mayonnaise
  • Salad dressing
  • Pizza sauce
  • Pectin
  • Carrageenan
  • Starches
  • Gelatine
  • Xanthan Gum
Quality uncompromised

Our uncompromising stand on quality, hygiene and sanitation, robust and durable construction, incorporating high-end components are the key ingredients to make the unbeatable performer, the advanced shear pumps which gets made in accordance to ISO 9001:2015 standards.

Service and support

With Zeutech Pumps you get 100% quality assurance with unmatched service and round-the-clock support. Our experienced commissioning team provides training and demo sessions to the workmen during commissioning to make them fully capable to run and maintain the pump hassle-free. Our support team makes solutions readily available for any technical issues through multi-channel communications.

Pollution free

The Zeutech shear pump runs without creating noise or any other pollution. These testaments our commitment to clean environment and sustainability policy.